Feb 19, 2020 · Plugging in your external hard drive. Now that you have your Nextcloud installed and running on the Raspberry Pi, it's time to plug in your external hard drive. This is the part where I recommend using a Raspberry Pi 4 instead of the Raspberry Pi 3. The Raspberry Pi 4 has 2 USB3.0 ports and the Raspberry Pi 3 only has USB2.0 ports.
Nextcloud Raspberry Pi external hard drive. Super-Angebote für Raspberry Raspberry Pi hier im Preisvergleich bei Preis.de! Raspberry Raspberry Pi zum kleinen Preis. In geprüften Shops bestellen Jetzt Raspberry Pi® günstig bei NBB.com kaufen!Jede Woche neue Angebote. 24-Stunden-Express Lieferung, 0% Finanzierung möglich
Note 1: In order for you to be able to use an external USB drive, the USB drive must not be formatted as NTFS/FAT as these do not support the user/permission system. Note 2: This will format all USB drives you have connected to the Raspberry Pi. Navigate to nc-format-USB in the TUI or the WebUI. Change the LABEL to a label you like.
17.11.2017 · NextCloudPi version v0.37.0 NextCloudPi image NextCloudPi_11-12-17 distribution Raspbian GNU/Linux 9 \n \l automount yes USB devices sda datadir /var/www/nextcloud/data data in SD yes data filesystem ext2/ext3 data disk usage 1.9G/2.7G rootfs usage 1.9G/2.7G Nextcloud check ok Nextcloud version HTTPD service up PHP service up MariaDB …
So I am using this guide to setup Nextcloud on my R-Pi 3 B+. I am having trouble figuring out how to point Nextcloud to my external HDD. In the guide I am up to the part "Moving Nextcloud's Data Folder" It says that this is the point where you would direct the serve to an external drive, but it doesn't give additional details.
Calculated crystals, as found in the file.
Calculated powder X-ray diffraction pattern of La3YTc for CuKα, from the PBE geometry in Alexandria.
No peak broadening, texture or thermal motion is included.

Cell and atoms:
a = 10.545 Å, b = 10.545 Å, c = 6.595 Å
α = 95.98°, β = 95.98°, γ = 60.28°
Fractional positions:
La (0.012, 0.268, 0.148)
La (0.047, 0.618, 0.367)
La (0.268, 0.012, 0.648)
La (0.284, 0.372, 0.968)
La (0.372, 0.284, 0.468)
La (0.382, 0.953, 0.133)
La (0.618, 0.047, 0.867)
La (0.628, 0.716, 0.532)
La (0.716, 0.628, 0.032)
La (0.732, 0.988, 0.352)
La (0.953, 0.382, 0.633)
La (0.988, 0.732, 0.852)
Y (0.088, 0.912, 0.250)
Y (0.385, 0.615, 0.750)
Y (0.615, 0.385, 0.250)
Y (0.912, 0.088, 0.750)
Tc (0.278, 0.583, 0.195)
Tc (0.417, 0.722, 0.305)
Tc (0.583, 0.278, 0.695)
Tc (0.722, 0.417, 0.805)

Most intense lines, 10 to 90 degrees two-theta, low angle first:
Position (°2θ)  I/Imax
19.61  40
28.17  52
29.31  100
29.46  80
29.60  60
30.13  91
30.65  52
31.75  54
37.35  52
54.47  41

=====

Calculated powder X-ray diffraction pattern of Pm4Dy for CuKα, from the PBE geometry in Alexandria.
No peak broadening, texture or thermal motion is included.

Cell and atoms:
a = 3.630 Å, b = 3.630 Å, c = 14.927 Å
α = 96.93°, β = 96.93°, γ = 59.97°
Fractional positions:
Pm (0.101, 0.101, 0.303)
Pm (0.299, 0.299, 0.899)
Pm (0.701, 0.701, 0.101)
Pm (0.899, 0.899, 0.697)
Dy (0.500, 0.500, 0.500)

Most intense lines, 10 to 90 degrees two-theta, low angle first:
Position (°2θ)  I/Imax
30.18  100
34.99  51
50.30  24
50.38  12
59.79  32
59.88  11
62.73  9
81.81  10
81.98  7
84.44  11
So much for the calculated crystals.
Raspberry Pi External Hard Drive. My goal is to set up a NextCloud running on a Raspberry Pi. It will have an external HDD, with Veracrypt full disk encryption, acting as primary storage for all my files. I want this to create an identical RSync backup to a second HDD attached to the Pi. I also want it to create a Borg backup that gets uploaded ...
I installed nextcloud on my raspberrypi 3 using this link.Everything is working pretty well except I don't like the UX of having all the extra storage space coming from the "External Storage" add-in, since it means that everyone now has to know to put all of their files in a designated folder.
[Misplaced data records]
____________
Structure and computed X-ray powder pattern of La2Al3Sn (a GGA-PBE-relaxed structure; λ = 1.5418 Å (Cu Kα)).
Neutral-atom scattering factors, no anomalous dispersion.

The 12 most intense peaks (2θ = 15–90°), in order of falling intensity:
30.48 deg, 2.932 Å, I = 100; 39.93 deg, 2.258 Å, I = 37; 22.74 deg, 3.910 Å, I = 25; 58.34 deg, 1.582 Å, I = 24; 51.06 deg, 1.789 Å, I = 24; 66.74 deg, 1.402 Å, I = 14; 40.71 deg, 2.217 Å, I = 12; 67.80 deg, 1.382 Å, I = 10; 47.13 deg, 1.928 Å, I = 7; 66.65 deg, 1.403 Å, I = 7; 81.68 deg, 1.179 Å, I = 6; 86.69 deg, 1.123 Å, I = 5

Structure:
Cell: 4.4331 4.5105 7.8286 Å, 90.00 90.00 90.00°
Space group Pmm2 (No. 25)
Unique sites:
La 0.0000 0.0000 0.0000 (multiplicity 1)
La 0.0000 0.5000 0.4932 (multiplicity 1)
Al 0.5000 0.0000 0.3257 (multiplicity 1)
Al 0.5000 0.0000 0.6504 (multiplicity 1)
Al 0.5000 0.5000 0.1742 (multiplicity 1)
Sn 0.5000 0.5000 0.8329 (multiplicity 1)

Structure and computed X-ray powder pattern of RbTiNiS4 (a GGA-PBE-relaxed structure; λ = 1.5418 Å (Cu Kα)).
Neutral-atom scattering factors, no anomalous dispersion.

The 12 most intense peaks (2θ = 15–90°), in order of falling intensity:
33.32 deg, 2.689 Å, I = 100; 35.04 deg, 2.561 Å, I = 93; 35.61 deg, 2.521 Å, I = 79; 31.96 deg, 2.800 Å, I = 66; 26.25 deg, 3.395 Å, I = 58; 44.90 deg, 2.019 Å, I = 51; 18.81 deg, 4.717 Å, I = 48; 51.40 deg, 1.778 Å, I = 45; 30.66 deg, 2.916 Å, I = 41; 26.57 deg, 3.355 Å, I = 40; 25.84 deg, 3.448 Å, I = 40; 48.90 deg, 1.862 Å, I = 37

Structure:
Cell: 6.1395 5.6010 9.2213 Å, 90.00 108.39 90.00°
Space group P2_1/m (No. 11)
Unique sites:
Rb 0.2318 0.2500 0.0472 (multiplicity 2)
Ti 0.2621 0.2500 0.5570 (multiplicity 2)
Ni 0.2566 0.7500 0.3373 (multiplicity 2)
S 0.0086 0.5055 0.6688 (multiplicity 4)
S 0.4487 0.7500 0.5785 (multiplicity 2)
S 0.4693 0.7500 0.1892 (multiplicity 2)

Structure and computed X-ray powder pattern of Sr2Li3CdSn4 (a GGA-PBE-relaxed structure; λ = 1.5418 Å (Cu Kα)).
Neutral-atom scattering factors, no anomalous dispersion.

The 12 most intense peaks (2θ = 15–90°), in order of falling intensity:
31.09 deg, 2.876 Å, I = 100; 38.87 deg, 2.317 Å, I = 49; 24.26 deg, 3.669 Å, I = 35; 29.48 deg, 3.029 Å, I = 31; 28.23 deg, 3.161 Å, I = 25; 40.76 deg, 2.214 Å, I = 24; 65.57 deg, 1.424 Å, I = 24; 42.38 deg, 2.133 Å, I = 23; 49.54 deg, 1.840 Å, I = 18; 58.85 deg, 1.569 Å, I = 18; 56.14 deg, 1.638 Å, I = 17; 22.21 deg, 4.003 Å, I = 17

Structure:
Cell: 4.6341 4.6341 12.0101 Å, 90.00 90.00 90.00°
Space group P-4m2 (No. 115)
Unique sites:
Sr 0.0000 0.5000 0.2478 (multiplicity 2)
Li 0.0000 0.5000 0.8662 (multiplicity 2)
Li 0.5000 0.5000 0.5000 (multiplicity 1)
Cd 0.0000 0.0000 0.5000 (multiplicity 1)
Sn 0.0000 0.0000 0.0000 (multiplicity 1)
Sn 0.0000 0.5000 0.6423 (multiplicity 2)
Sn 0.5000 0.5000 0.0000 (multiplicity 1)

Structure and computed X-ray powder pattern of Hf6NbSb2 (a GGA-PBE-relaxed structure; λ = 1.5418 Å (Cu Kα)).
Neutral-atom scattering factors, no anomalous dispersion.
____________
[So much for the data records]
2TB External HDD (usb) ... Connect all the components to the Raspberry Pi and power it ... Before you plug in the usb disk, Tail the messages file with.
19.02.2020 · Plugging in your external hard drive. Now that you have your Nextcloud installed and running on the Raspberry Pi, it's time to plug in your external hard drive. This is the part where I recommend using a Raspberry Pi 4 …
Jun 25, 2017 · If you find this the case and your hard drive doesn’t use an external power supply then I recommend looking into buying a powered USB hub for the Pi. Equipment List You can find all the bits and pieces that I used/recommend for this Raspberry Pi Nextcloud tutorial right below.
Note 1: In order for you to be able to use an external USB drive, the USB drive must not be formatted as NTFS/FAT as these do not support the user/permission system. Note 2: This will format all USB drives you have connected to the Raspberry Pi. Navigate to nc-format-USB in the TUI or the WebUI. Change the LABEL to a label you like.
29.01.2015 · This is a short guide on how to connect an External Hard Drive to the Raspberry Pi! ... Previous article Next article. Popular Tutorials. Using IFTTT with the Raspberry Pi. Nov 11, 2018. How To Stream Digital TV With The Raspberry Pi TV HAT. Oct 18, 2018.
Misplaced records of crystals:
[1]
Starting from DFT lattice parameters and positions (PBE), the powder XRD pattern of RbSb2Cl6 was calculated for Cu Ka.

Main lines, sorted by position (2θ = 15–90°):
| two_theta | intensity |
| --- | --- |
| 17.1 | 45 |
| 17.9 | 36 |
| 18.4 | 29 |
| 22.0 | 40 |
| 23.5 | 17 |
| 25.3 | 18 |
| 30.9 | 100 |
| 33.2 | 23 |
| 38.2 | 19 |
| 38.4 | 19 |
| 40.6 | 16 |
| 44.3 | 39 |

Crystal structure
```
RbSb2Cl6
1.0
6.6735 -2.8981 0.0000
6.6735 2.8981 0.0000
-4.9277 0.0000 8.7990
Rb Sb Cl
1 2 6
Cartesian
0.0000 0.0000 0.0000
-0.4803 0.0000 5.1714
8.8997 0.0000 3.6276
-2.8448 0.0000 6.1899
2.0008 0.0000 3.7450
0.5423 0.0000 7.4293
7.8770 0.0000 1.3697
6.4186 0.0000 5.0540
11.2641 0.0000 2.6091
```

---

[2]
Starting from DFT lattice parameters and positions (PBE), the powder XRD pattern of Ce5NdPb6 was calculated for Cu Ka.

Main lines, sorted by position (2θ = 15–90°):
| two_theta | intensity |
| --- | --- |
| 23.9 | 6 |
| 27.7 | 100 |
| 39.6 | 78 |
| 46.8 | 3 |
| 49.0 | 28 |
| 57.2 | 13 |
| 64.7 | 6 |
| 64.7 | 31 |
| 71.8 | 21 |
| 71.9 | 7 |
| 85.2 | 5 |
| 85.3 | 4 |

Crystal structure
```
Ce5NdPb6
1.0
3.9415 -6.8388 0.0000
3.9415 6.8388 0.0000
-2.6364 0.0000 7.4374
Ce Nd Pb
5 1 6
Cartesian
0.0000 0.0000 0.0000
2.6233 4.5504 3.7187
3.9415 2.2463 0.0000
3.9415 -2.2463 0.0000
2.6233 -4.5504 3.7187
2.6233 0.0000 3.7187
1.2899 2.3135 1.8290
-0.0507 0.0000 5.5848
1.2899 -2.3135 1.8290
3.9567 2.3135 5.6085
5.2973 0.0000 1.8526
3.9567 -2.3135 5.6085
```

---

[3]
Starting from DFT lattice parameters and positions (PBE), the powder XRD pattern of BeGePd was calculated for Cu Ka.

Main lines, sorted by position (2θ = 15–90°):
| two_theta | intensity |
| --- | --- |
| 25.8 | 16 |
| 27.3 | 93 |
| 35.9 | 70 |
| 44.0 | 99 |
| 44.6 | 100 |
| 53.0 | 14 |
| 58.5 | 17 |
| 64.5 | 31 |
| 76.5 | 15 |
| 80.3 | 18 |
| 81.8 | 32 |
| 82.1 | 16 |

Crystal structure
```
BeGePd
1.0
2.0323 1.1734 5.9121
-2.0323 1.1734 5.9121
0.0000 -2.3467 5.9121
Be Ge Pd
2 2 2
Cartesian
0.0000 0.0000 0.0000
0.0000 0.0000 7.5246
0.0000 0.0000 5.0374
0.0000 0.0000 15.2100
0.0000 0.0000 2.3744
0.0000 0.0000 12.4645
```

---

[4]
Starting from DFT lattice parameters and positions (PBE), the powder XRD pattern of NaCeSn6 was calculated for Cu Ka.

Main lines, sorted by position (2θ = 15–90°):
| two_theta | intensity |
| --- | --- |
| 21.0 | 5 |
| 28.4 | 3 |
| 32.8 | 100 |
| 37.6 | 17 |
| 38.2 | 33 |
| 54.7 | 24 |
| 55.2 | 12 |
| 64.9 | 14 |
| 65.7 | 28 |
| 68.7 | 12 |
| 80.4 | 2 |
| 81.8 | 4 |

Crystal structure
```
NaCeSn6
1.0
4.7076 0.0000 0.0000
0.0000 4.7076 0.0000
0.0000 0.0000 9.5590
Na Ce Sn
1 1 6
Cartesian
0.0000 0.0000 0.0000
0.0000 0.0000 4.7795
0.0000 2.3538 2.3553
0.0000 2.3538 7.2037
2.3538 0.0000 2.3553
2.3538 0.0000 7.2037
2.3538 2.3538 0.0000
2.3538 2.3538 4.7795
```
Raspberry Pi External Hard Drive. My goal is to set up a NextCloud running on a Raspberry Pi. It will have an external HDD, with Veracrypt full disk encryption, acting as primary storage for all my files. I want this to create an identical RSync backup to a second HDD attached to the Pi. I also want it to create a Borg backup that gets uploaded ...
Another USB Hard Drive, if you want to set up a RAID array something I will get into later. What we will be installing: Apache, the actual web server; PHP5, ...
25.06.2017 · Next I’ll swap the Pi 3B+ for a Pi 4 with 2 GB and once I have that running I’ll move the data folder to an external drive or maybe even to the NAS. I failed miserably on “NextCloudPi” earlier today, so this tutorial saved my day (night).